File
1.
Formula: C7H10O2P
Source: the Open Molecules 2025 dataset
Level of theory: ωB97M-V/def2-TZVPD

Summary:
SMILES ... C#C[C@@H]1CC[P@@](=O)([O-])[C@H]1C
Strongest force on any atom ... 5.2 eV Å⁻¹
Gap between HOMO and LUMO ... 8.16 eV
Lowest unoccupied orbital energy ... 3.58 eV

```
! RIJCOSX wB97M-V def2-TZVPD def2/J DEFGRID3
* xyz -1 1
H 1.2042 -3.6779 -1.6220
O -1.2670 1.0482 2.5732
H -2.8775 -0.1332 0.0459
H -2.1813 0.8906 -1.1065
C -0.8707 -0.2788 0.1046
C 1.7200 0.1392 0.2260
H -2.2296 -1.0383 -1.3529
C -2.0998 -0.1384 -0.6920
C 0.5630 -0.2238 -0.8245
C 0.9795 -2.6784 -1.6284
H 1.7875 -0.8509 0.8285
P -0.7632 1.2619 1.1514
O -1.1894 2.5755 0.5360
H -0.7108 -1.0709 0.8550
C 0.7569 -1.4939 -1.4086
H 1.2998 2.1930 0.5917
H 0.3911 0.6609 -1.4156
C 1.1471 1.2210 1.0735
H 1.6417 1.2376 2.0738
H 2.6985 0.3567 -0.0092
*
```

2.
Formula: C27H35FN5OSTi
Source: the Open Molecules 2025 dataset
Level of theory: ωB97M-V/def2-TZVPD

Summary:
⟨S²⟩ ... 0.7598
Strongest force on any atom ... 0.4 eV Å⁻¹
Gap between HOMO and LUMO (alpha / beta) ... 7.25 / 7.66 eV
Lowest unoccupied orbital energy (alpha / beta) ... -6.56 / -6.15 eV

```
! RIJCOSX wB97M-V def2-TZVPD def2/J DEFGRID3
* xyz 2 2
C -0.4444 0.3100 -4.5421
H 1.7593 -3.5519 -1.0268
C -0.8980 0.1131 4.2466
C 0.0092 2.4359 4.4429
C -3.4581 -1.0146 0.7108
H 0.0074 6.0380 -2.4269
H -1.0345 -2.5618 0.5629
O -1.5746 6.6134 0.2584
H -0.5492 7.5507 -1.8117
H -0.7771 0.9415 -3.7233
H -1.3101 -0.1319 -5.0332
N -0.2900 -0.6637 2.0105
C 3.3779 -2.7085 2.0075
H 0.1142 0.9066 -5.2579
H -2.8261 -0.0970 0.5600
C 0.9291 -1.3628 2.1081
C -1.9043 -3.0155 1.0767
C -3.3040 -1.3172 4.0679
C -1.5194 2.5618 0.8092
H -2.0503 2.0910 1.6303
H 2.8219 -3.4977 3.9190
H -0.5765 2.7648 3.5825
H 4.3295 -3.2191 1.9783
H 0.4532 4.0141 -2.1029
H 0.6493 -2.3182 4.0015
H 0.9313 -4.5029 -2.2830
H 0.4953 1.6092 -1.5911
H -1.5799 0.6470 6.2054
H 3.6469 -1.7560 0.0771
H -3.6711 -0.6271 6.0633
S -1.2273 -1.2834 -2.0688
C 1.8008 -1.2607 1.0326
N -0.4864 6.5488 -1.7208
C 1.2207 0.5315 5.5502
C 0.3625 0.9498 4.3564
H 1.4939 -0.5226 5.5085
C -1.2215 -0.6292 3.1056
H 1.9157 -2.5418 -3.3095
C -1.5838 3.9241 0.6070
H -0.5736 2.6540 5.3382
H 0.9525 0.8034 3.4487
H -4.3397 -0.5134 1.1127
H -2.3987 -3.6144 0.3112
C 0.9426 -3.5552 -1.7468
C 3.0075 -1.8994 0.9372
N -0.8020 1.7535 0.0128
C -0.1013 2.2907 -0.9957
C -0.1327 3.6440 -1.2743
C -1.0031 5.9937 -0.6086
H -2.1574 4.5651 1.2616
C 1.3097 -2.1987 3.1530
H -0.0038 -3.4297 -1.2321
H 1.2222 -0.9768 -4.6502
C -2.9874 -0.6209 5.2257
H -1.4592 -3.6716 1.8243
H -3.6993 -1.4475 -0.2607
F 1.3211 -0.4821 -0.0431
C 0.2400 -1.5046 -2.9855
C -0.8874 4.4807 -0.4593
Ti -0.8774 -0.3678 0.2567
H 0.9150 3.0406 4.4857
H -3.7549 -2.6436 1.9981
N 0.4547 -0.7285 -4.0414
C 2.5303 -2.8583 3.0977
C -2.4330 -1.3364 2.9869
C -1.8067 0.0912 5.3052
H -4.2411 -1.8560 4.0056
N 1.1129 -2.4620 -2.6995
C -2.8933 -2.0359 1.7154
H 0.7012 0.7020 6.4934
H 2.1402 1.1161 5.5757
Exercise
Transcribe the part of the rows earlier on that starts with the line with "7.25" and stops after the one with "5.5757", please.
Completed
Gap between HOMO and LUMO (alpha / beta) ... 7.25 / 7.66 eV
Lowest unoccupied orbital energy (alpha / beta) ... -6.56 / -6.15 eV

```
! RIJCOSX wB97M-V def2-TZVPD def2/J DEFGRID3
* xyz 2 2
C -0.4444 0.3100 -4.5421
H 1.7593 -3.5519 -1.0268
C -0.8980 0.1131 4.2466
C 0.0092 2.4359 4.4429
C -3.4581 -1.0146 0.7108
H 0.0074 6.0380 -2.4269
H -1.0345 -2.5618 0.5629
O -1.5746 6.6134 0.2584
H -0.5492 7.5507 -1.8117
H -0.7771 0.9415 -3.7233
H -1.3101 -0.1319 -5.0332
N -0.2900 -0.6637 2.0105
C 3.3779 -2.7085 2.0075
H 0.1142 0.9066 -5.2579
H -2.8261 -0.0970 0.5600
C 0.9291 -1.3628 2.1081
C -1.9043 -3.0155 1.0767
C -3.3040 -1.3172 4.0679
C -1.5194 2.5618 0.8092
H -2.0503 2.0910 1.6303
H 2.8219 -3.4977 3.9190
H -0.5765 2.7648 3.5825
H 4.3295 -3.2191 1.9783
H 0.4532 4.0141 -2.1029
H 0.6493 -2.3182 4.0015
H 0.9313 -4.5029 -2.2830
H 0.4953 1.6092 -1.5911
H -1.5799 0.6470 6.2054
H 3.6469 -1.7560 0.0771
H -3.6711 -0.6271 6.0633
S -1.2273 -1.2834 -2.0688
C 1.8008 -1.2607 1.0326
N -0.4864 6.5488 -1.7208
C 1.2207 0.5315 5.5502
C 0.3625 0.9498 4.3564
H 1.4939 -0.5226 5.5085
C -1.2215 -0.6292 3.1056
H 1.9157 -2.5418 -3.3095
C -1.5838 3.9241 0.6070
H -0.5736 2.6540 5.3382
H 0.9525 0.8034 3.4487
H -4.3397 -0.5134 1.1127
H -2.3987 -3.6144 0.3112
C 0.9426 -3.5552 -1.7468
C 3.0075 -1.8994 0.9372
N -0.8020 1.7535 0.0128
C -0.1013 2.2907 -0.9957
C -0.1327 3.6440 -1.2743
C -1.0031 5.9937 -0.6086
H -2.1574 4.5651 1.2616
C 1.3097 -2.1987 3.1530
H -0.0038 -3.4297 -1.2321
H 1.2222 -0.9768 -4.6502
C -2.9874 -0.6209 5.2257
H -1.4592 -3.6716 1.8243
H -3.6993 -1.4475 -0.2607
F 1.3211 -0.4821 -0.0431
C 0.2400 -1.5046 -2.9855
C -0.8874 4.4807 -0.4593
Ti -0.8774 -0.3678 0.2567
H 0.9150 3.0406 4.4857
H -3.7549 -2.6436 1.9981
N 0.4547 -0.7285 -4.0414
C 2.5303 -2.8583 3.0977
C -2.4330 -1.3364 2.9869
C -1.8067 0.0912 5.3052
H -4.2411 -1.8560 4.0056
N 1.1129 -2.4620 -2.6995
C -2.8933 -2.0359 1.7154
H 0.7012 0.7020 6.4934
H 2.1402 1.1161 5.5757